Contents
115
Properties=species:S:1:pos:R:3:forces:R:3 method="wB97M-V/def2-TZVPD" homo_lumo_gap_ev=7.72 total_charge=0 multiplicity=1
Pt 0.775067 -0.337322 -0.220110 -0.2973 -0.1735 0.0182
C 0.054329 1.194194 2.569575 0.0331 -0.0098 0.3107
P 1.365663 -0.116559 2.894814 0.2487 0.0693 -0.1254
C 0.710135 -1.719759 3.483116 0.0795 0.0260 0.3029
C -0.184222 -2.473119 2.725619 0.0440 0.0801 -0.2316
C -0.500401 -3.777902 3.068936 -0.0326 0.0136 0.0128
C 0.094868 -4.373733 4.168910 0.0527 -0.0120 0.0222
C 1.033563 -3.659675 4.899819 -0.0474 -0.0675 -0.0025
C 1.343990 -2.354075 4.557352 -0.1667 0.0645 0.0917
C 2.056941 0.672288 4.401430 0.0089 -0.0694 -0.0274
C 1.448493 0.617440 5.656736 -0.0232 0.0106 -0.0077
C 1.967836 1.329382 6.724300 -0.0149 -0.0038 0.0267
C 3.097933 2.120135 6.553027 0.0038 0.0021 -0.0177
C 3.700350 2.195720 5.308541 0.0304 0.0194 0.0488
C 3.183926 1.472186 4.241385 0.0312 -0.0103 -0.0396
C 0.663083 2.084377 1.534480 -0.1320 0.0019 -0.2558
C 1.152484 3.374619 1.593778 0.0283 0.0035 0.1548
C 1.867695 3.614728 0.394042 0.1334 0.0471 -0.1659
C 1.787801 2.460292 -0.356426 -0.1740 -0.0904 0.1512
C 2.320296 1.974679 -1.670656 -0.0843 -0.0854 0.0759
P 2.705642 0.195664 -1.322304 0.1672 0.0695 0.1372
C 4.358453 0.282734 -0.577979 0.0290 -0.1221 -0.2011
C 5.484497 0.417524 -1.389193 0.0182 0.0707 -0.0351
C 6.739083 0.553620 -0.819078 -0.0081 -0.0081 0.0278
C 6.876950 0.545849 0.563675 -0.0018 -0.0177 -0.0411
C 5.759658 0.398901 1.370422 0.0594 0.0120 0.0437
C 4.502196 0.264141 0.801923 -0.1373 -0.0367 0.0652
C 2.913627 -0.677580 -2.887253 -0.0268 0.1774 -0.0939
C 2.610697 -0.070390 -4.105530 0.0241 -0.0289 0.0439
C 2.710071 -0.792518 -5.285057 -0.0012 -0.0547 -0.0148
C 3.103840 -2.122488 -5.251623 -0.0108 0.0191 -0.0578
C 3.398859 -2.731716 -4.040627 -0.0145 -0.0428 0.0091
C 3.306202 -2.013574 -2.861379 -0.0332 -0.0049 0.0424
N 1.023339 1.556691 0.329603 0.1961 0.0933 0.0050
H -0.122970 1.759962 3.485520 -0.0865 -0.0406 -0.0196
H -0.885364 0.746956 2.257530 -0.0048 -0.0995 -0.1066
H -0.580153 -2.075739 1.798367 0.0228 0.0211 0.0876
H -1.191707 -4.337130 2.452221 -0.0138 -0.0155 -0.0143
H -0.141880 -5.395715 4.433060 -0.0090 -0.0105 0.0054
H 1.534350 -4.120995 5.741000 0.0067 -0.0202 0.0102
H 2.085139 -1.826938 5.141798 0.0239 0.0138 -0.0159
H 0.564970 0.007048 5.800688 -0.0182 0.0078 -0.0074
H 1.487868 1.270960 7.692858 0.0013 0.0021 0.0114
H 3.502549 2.675589 7.388340 0.0086 0.0179 0.0211
H 4.576436 2.814534 5.163639 0.0049 0.0130 0.0015
H 3.656734 1.545669 3.269502 -0.0136 -0.0046 -0.0190
H 1.048583 4.047471 2.429689 0.0048 0.0258 0.0291
H 2.390374 4.517457 0.124651 0.0272 0.0320 -0.0137
H 3.199495 2.505293 -2.035762 0.0091 0.0627 0.1117
H 1.536820 2.026390 -2.434524 0.0774 -0.0808 -0.0580
H 5.383469 0.416555 -2.468427 -0.0163 -0.0135 -0.0012
H 7.608507 0.661093 -1.453482 0.0262 -0.0060 -0.0042
H 7.858298 0.643475 1.008417 0.0176 0.0105 0.0100
H 5.865366 0.380195 2.447450 0.0027 -0.0048 0.0227
H 3.625715 0.128525 1.427188 0.0082 0.0011 -0.0422
H 2.297265 0.964655 -4.142896 0.0164 0.0049 0.0046
H 2.474690 -0.317527 -6.228264 0.0028 0.0065 -0.0138
H 3.172869 -2.688541 -6.171279 -0.0013 -0.0052 -0.0091
H 3.677623 -3.775474 -4.005503 0.0147 -0.0244 0.0013
H 3.512583 -2.505939 -1.918939 0.0187 0.0038 0.0228
C -3.131366 -3.324547 -3.832552 0.0109 -0.0281 -0.0052
C -3.748536 -3.300173 -2.424506 -0.0355 -0.0535 0.0323
C -3.590718 -1.934805 -1.758256 -0.0857 0.0978 0.1084
C -2.102883 -1.689379 -1.465208 -0.0566 0.0998 0.0024
C -1.246628 -2.101014 -2.699147 0.1844 0.0639 0.0291
C -2.054453 -2.247438 -3.984671 0.0174 -0.0010 -0.0059
P -1.565391 -0.072315 -0.704184 -0.1492 -0.0952 -0.0228
C -2.868811 0.456610 0.515213 0.0646 0.0075 0.0071
C -3.038399 -0.541186 1.664263 0.1124 -0.0558 0.0332
C -3.777421 0.107368 2.842839 0.0406 -0.0313 0.0569
C -4.878261 1.072034 2.380218 -0.0072 0.0145 0.0131
C -5.375783 0.655251 1.005064 -0.0503 -0.0056 -0.0335
C -4.266013 0.831518 -0.039717 -0.0096 0.0004 -0.0531

Exercise
The reader should type out the whole of the listing above with every line break kept.

Done
115
Properties=species:S:1:pos:R:3:forces:R:3 method="wB97M-V/def2-TZVPD" homo_lumo_gap_ev=7.72 total_charge=0 multiplicity=1
Pt 0.775067 -0.337322 -0.220110 -0.2973 -0.1735 0.0182
C 0.054329 1.194194 2.569575 0.0331 -0.0098 0.3107
P 1.365663 -0.116559 2.894814 0.2487 0.0693 -0.1254
C 0.710135 -1.719759 3.483116 0.0795 0.0260 0.3029
C -0.184222 -2.473119 2.725619 0.0440 0.0801 -0.2316
C -0.500401 -3.777902 3.068936 -0.0326 0.0136 0.0128
C 0.094868 -4.373733 4.168910 0.0527 -0.0120 0.0222
C 1.033563 -3.659675 4.899819 -0.0474 -0.0675 -0.0025
C 1.343990 -2.354075 4.557352 -0.1667 0.0645 0.0917
C 2.056941 0.672288 4.401430 0.0089 -0.0694 -0.0274
C 1.448493 0.617440 5.656736 -0.0232 0.0106 -0.0077
C 1.967836 1.329382 6.724300 -0.0149 -0.0038 0.0267
C 3.097933 2.120135 6.553027 0.0038 0.0021 -0.0177
C 3.700350 2.195720 5.308541 0.0304 0.0194 0.0488
C 3.183926 1.472186 4.241385 0.0312 -0.0103 -0.0396
C 0.663083 2.084377 1.534480 -0.1320 0.0019 -0.2558
C 1.152484 3.374619 1.593778 0.0283 0.0035 0.1548
C 1.867695 3.614728 0.394042 0.1334 0.0471 -0.1659
C 1.787801 2.460292 -0.356426 -0.1740 -0.0904 0.1512
C 2.320296 1.974679 -1.670656 -0.0843 -0.0854 0.0759
P 2.705642 0.195664 -1.322304 0.1672 0.0695 0.1372
C 4.358453 0.282734 -0.577979 0.0290 -0.1221 -0.2011
C 5.484497 0.417524 -1.389193 0.0182 0.0707 -0.0351
C 6.739083 0.553620 -0.819078 -0.0081 -0.0081 0.0278
C 6.876950 0.545849 0.563675 -0.0018 -0.0177 -0.0411
C 5.759658 0.398901 1.370422 0.0594 0.0120 0.0437
C 4.502196 0.264141 0.801923 -0.1373 -0.0367 0.0652
C 2.913627 -0.677580 -2.887253 -0.0268 0.1774 -0.0939
C 2.610697 -0.070390 -4.105530 0.0241 -0.0289 0.0439
C 2.710071 -0.792518 -5.285057 -0.0012 -0.0547 -0.0148
C 3.103840 -2.122488 -5.251623 -0.0108 0.0191 -0.0578
C 3.398859 -2.731716 -4.040627 -0.0145 -0.0428 0.0091
C 3.306202 -2.013574 -2.861379 -0.0332 -0.0049 0.0424
N 1.023339 1.556691 0.329603 0.1961 0.0933 0.0050
H -0.122970 1.759962 3.485520 -0.0865 -0.0406 -0.0196
H -0.885364 0.746956 2.257530 -0.0048 -0.0995 -0.1066
H -0.580153 -2.075739 1.798367 0.0228 0.0211 0.0876
H -1.191707 -4.337130 2.452221 -0.0138 -0.0155 -0.0143
H -0.141880 -5.395715 4.433060 -0.0090 -0.0105 0.0054
H 1.534350 -4.120995 5.741000 0.0067 -0.0202 0.0102
H 2.085139 -1.826938 5.141798 0.0239 0.0138 -0.0159
H 0.564970 0.007048 5.800688 -0.0182 0.0078 -0.0074
H 1.487868 1.270960 7.692858 0.0013 0.0021 0.0114
H 3.502549 2.675589 7.388340 0.0086 0.0179 0.0211
H 4.576436 2.814534 5.163639 0.0049 0.0130 0.0015
H 3.656734 1.545669 3.269502 -0.0136 -0.0046 -0.0190
H 1.048583 4.047471 2.429689 0.0048 0.0258 0.0291
H 2.390374 4.517457 0.124651 0.0272 0.0320 -0.0137
H 3.199495 2.505293 -2.035762 0.0091 0.0627 0.1117
H 1.536820 2.026390 -2.434524 0.0774 -0.0808 -0.0580
H 5.383469 0.416555 -2.468427 -0.0163 -0.0135 -0.0012
H 7.608507 0.661093 -1.453482 0.0262 -0.0060 -0.0042
H 7.858298 0.643475 1.008417 0.0176 0.0105 0.0100
H 5.865366 0.380195 2.447450 0.0027 -0.0048 0.0227
H 3.625715 0.128525 1.427188 0.0082 0.0011 -0.0422
H 2.297265 0.964655 -4.142896 0.0164 0.0049 0.0046
H 2.474690 -0.317527 -6.228264 0.0028 0.0065 -0.0138
H 3.172869 -2.688541 -6.171279 -0.0013 -0.0052 -0.0091
H 3.677623 -3.775474 -4.005503 0.0147 -0.0244 0.0013
H 3.512583 -2.505939 -1.918939 0.0187 0.0038 0.0228
C -3.131366 -3.324547 -3.832552 0.0109 -0.0281 -0.0052
C -3.748536 -3.300173 -2.424506 -0.0355 -0.0535 0.0323
C -3.590718 -1.934805 -1.758256 -0.0857 0.0978 0.1084
C -2.102883 -1.689379 -1.465208 -0.0566 0.0998 0.0024
C -1.246628 -2.101014 -2.699147 0.1844 0.0639 0.0291
C -2.054453 -2.247438 -3.984671 0.0174 -0.0010 -0.0059
P -1.565391 -0.072315 -0.704184 -0.1492 -0.0952 -0.0228
C -2.868811 0.456610 0.515213 0.0646 0.0075 0.0071
C -3.038399 -0.541186 1.664263 0.1124 -0.0558 0.0332
C -3.777421 0.107368 2.842839 0.0406 -0.0313 0.0569
C -4.878261 1.072034 2.380218 -0.0072 0.0145 0.0131
C -5.375783 0.655251 1.005064 -0.0503 -0.0056 -0.0335
C -4.266013 0.831518 -0.039717 -0.0096 0.0004 -0.0531